New Zealand's cat eradication campaign

**Inserted here: calculated crystals:**
+++
Record 1
Computed PXRD pattern
Compound: AcCuPdPt
Radiation: Cu Ka
Structure: DFT lattice parameters and positions (PBE)

Main lines, sorted by position (10° ≤ 2θ ≤ 90°):
- d 3.728, rel. 68
- d 2.704, rel. 61
- d 2.696, rel. 30
- d 2.531, rel. 15
- d 2.389, rel. 24
- d 2.380, rel. 47
- d 2.220, rel. 100
- d 1.713, rel. 16
- d 1.667, rel. 17
- d 1.282, rel. 17

Structure:
abc: 7.6950 4.4377 5.6639
angles: 90.00 116.66 90.00
Element x y z (fractional)
Ac 0.0000 0.0000 0.0000
Ac 0.5000 0.5000 0.0000
Cu 0.0085 0.5000 0.5251
Cu 0.5085 0.0000 0.5251
Pd 0.2961 0.5000 0.3872
Pd 0.7961 0.0000 0.3872
Pt 0.2072 0.0000 0.6213
Pt 0.7072 0.5000 0.6213

***

Record 2
Computed PXRD pattern
Compound: Ac2CuSbPd6
Radiation: Cu Ka
Structure: DFT lattice parameters and positions (PBE)

Main lines, sorted by position (10° ≤ 2θ ≤ 90°):
- d 8.006, rel. 36
- d 4.003, rel. 27
- d 3.474, rel. 69
- d 2.904, rel. 29
- d 2.462, rel. 75
- d 2.351, rel. 31
- d 2.320, rel. 100
- d 2.167, rel. 46
- d 1.491, rel. 28
- d 1.452, rel. 33

Structure:
abc: 8.6802 8.6802 8.6802
angles: 39.10 39.10 39.10
Element x y z (fractional)
Ac 0.2082 0.2082 0.2082
Ac 0.7918 0.7918 0.7918
Cu 0.5000 0.5000 0.5000
Sb 0.0000 0.0000 0.0000
Pd 0.2548 0.2548 0.7382
Pd 0.2548 0.7382 0.2548
Pd 0.2618 0.7452 0.7452
Pd 0.7382 0.2548 0.2548
Pd 0.7452 0.2618 0.7452
Pd 0.7452 0.7452 0.2618

***

Record 3
Computed PXRD pattern
Compound: Ac2Cu6SiPd
Radiation: Cu Ka
Structure: DFT lattice parameters and positions (PBE)

Main lines, sorted by position (10° ≤ 2θ ≤ 90°):
- d 3.304, rel. 85
- d 3.289, rel. 41
- d 2.775, rel. 37
- d 2.727, rel. 100
- d 2.718, rel. 49
- d 2.694, rel. 26
- d 2.674, rel. 53
- d 2.301, rel. 31
- d 1.787, rel. 34
- d 1.769, rel. 30

Structure:
abc: 6.4006 6.4055 6.4452
angles: 61.88 61.93 61.81
Element x y z (fractional)
Ac 0.2052 0.2032 0.2010
Ac 0.7948 0.7968 0.7990
Cu 0.2518 0.2551 0.6374
Cu 0.2535 0.6382 0.2549
Cu 0.3614 0.7503 0.7410
Cu 0.6386 0.2497 0.2590
Cu 0.7465 0.3618 0.7451
Cu 0.7482 0.7449 0.3626
Si 0.5000 0.5000 0.5000
Pd 0.0000 0.0000 0.0000

***

Record 4
Computed PXRD pattern
Compound: Ac3Cu2SiPd9
Radiation: Cu Ka
Structure: DFT lattice parameters and positions (PBE)

Main lines, sorted by position (10° ≤ 2θ ≤ 90°):
- d 3.674, rel. 36
- d 3.476, rel. 49
- d 2.989, rel. 20
- d 2.886, rel. 25
- d 2.512, rel. 94
- d 2.318, rel. 100
- d 1.965, rel. 16
- d 1.837, rel. 30
- d 1.494, rel. 29
- d 1.373, rel. 18

Structure:
abc: 5.9771 5.9771 10.4294
angles: 90.00 90.00 120.00
Element x y z (fractional)
Ac 0.0000 0.0000 0.0000
Ac 0.3333 0.6667 0.7159
Ac 0.6667 0.3333 0.2841
Cu 0.3333 0.6667 0.1770
Cu 0.6667 0.3333 0.8230
Si 0.0000 0.0000 0.5000
Pd 0.0000 0.5000 0.0000
Pd 0.1787 0.3574 0.3697
Pd 0.1787 0.8213 0.3697
Pd 0.3574 0.1787 0.6303
Pd 0.5000 0.0000 0.0000
Pd 0.5000 0.5000 0.0000
Pd 0.6426 0.8213 0.3697
Pd 0.8213 0.1787 0.6303
Pd 0.8213 0.6426 0.6303

***

Record 5
Computed PXRD pattern
Compound: Ac2CuSi4Pd3
Radiation: Cu Ka
+++

New Zealand's cat eradication campaign

_Here the entry breaks off for materials data_
<<<
Structure and theoretical powder diffractogram of NaNdV4O12 (a crystal structure in Alexandria, relaxed with PBE+U; CuKα).
Peak positions follow from Bragg's law for the DFT cell and can differ from measured ones.

Structure:
Cell: 5.3167 5.3167 7.5384 Å, 90.00 90.00 90.00°
Space group P4/mmm (No. 123)
Symmetry-distinct sites (fractional):
Na  0.0000  0.0000  0.0000 [1 per cell]
Nd  0.5000  0.5000  0.5000 [1 per cell]
V  0.0000  0.5000  0.2448 [4 per cell]
O  0.0000  0.5000  0.0000 [2 per cell]
O  0.0000  0.5000  0.5000 [2 per cell]
O  0.2544  0.2544  0.2556 [8 per cell]

Largest 10 diffraction maxima, by angle, 10° ≤ 2θ ≤ 90°:
2θ 11.74, d 7.538, intensity 30, hkl 0 0 1; 2θ 16.67, d 5.317, intensity 31, hkl 1 0 0; 2θ 20.44, d 4.345, intensity 73, hkl 1 0 1; 2θ 26.49, d 3.364, intensity 22, hkl 1 1 1; 2θ 33.69, d 2.661, intensity 100, hkl 2 0 0; 2θ 39.72, d 2.269, intensity 39, hkl 2 1 1; 2θ 48.29, d 1.885, intensity 19, hkl 0 0 4; 2θ 48.42, d 1.880, intensity 38, hkl 2 2 0; 2θ 60.25, d 1.536, intensity 37, hkl 3 1 2; 2θ 70.80, d 1.331, intensity 20, hkl 2 2 4

* * * * *

[1]
Computed PXRD pattern of B2H5 for Cu Kα (λ = 1.5418 Å), from a structure optimized by DFT (PBE).
No peak broadening, texture or thermal motion is included.

Most intense lines, 15 to 90 degrees two-theta, low angle first:
| d [Å] | I (rel.) |
| --- | --- |
| 5.404 | 16.3 |
| 5.065 | 7.8 |
| 4.900 | 37.0 |
| 4.768 | 38.2 |
| 4.341 | 100.0 |
| 4.214 | 70.1 |
| 3.850 | 69.7 |
| 3.695 | 7.8 |
| 3.664 | 12.8 |
| 2.522 | 7.4 |

a b c (Å): 5.827 10.129 9.086
angles (deg): 90.00 111.96 90.00
Fractional coordinates of all 56 atoms:
B  0.056  0.203  0.380
B  0.056  0.297  0.880
B  0.106  0.587  0.278
B  0.106  0.913  0.778
B  0.253  0.731  0.270
B  0.253  0.769  0.770
B  0.399  0.576  0.248
B  0.399  0.924  0.748
B  0.601  0.076  0.252
B  0.601  0.424  0.752
B  0.747  0.231  0.230
B  0.747  0.269  0.730
B  0.894  0.087  0.222
B  0.894  0.413  0.722
B  0.944  0.703  0.120
B  0.944  0.797  0.620
H  0.071  0.567  0.397
H  0.071  0.933  0.897
H  0.077  0.179  0.514
H  0.077  0.321  0.014
H  0.092  0.071  0.343
H  0.092  0.429  0.843
H  0.137  0.705  0.644
H  0.137  0.795  0.144
H  0.207  0.012  0.741
H  0.207  0.488  0.241
H  0.219  0.235  0.862
H  0.219  0.265  0.362
H  0.308  0.700  0.884
H  0.308  0.800  0.384
H  0.395  0.546  0.118
H  0.395  0.954  0.618
H  0.427  0.042  0.139
H  0.427  0.458  0.639
H  0.436  0.712  0.229
H  0.436  0.788  0.729
H  0.564  0.212  0.271
H  0.564  0.288  0.771
H  0.573  0.542  0.361
H  0.573  0.958  0.861
H  0.605  0.046  0.382
H  0.605  0.454  0.882
H  0.692  0.200  0.616
H  0.692  0.300  0.116
H  0.781  0.735  0.638
H  0.781  0.765  0.138
H  0.793  0.512  0.759
H  0.793  0.988  0.259
H  0.863  0.205  0.856
H  0.863  0.295  0.356
H  0.908  0.571  0.157
H  0.908  0.929  0.657
H  0.923  0.679  0.986
H  0.923  0.821  0.486
H  0.929  0.067  0.103
H  0.929  0.433  0.603

[2]
>>>

This controversial campaign wants to ban cats from NZ.

New Zealand is an amazing, gorgeous country with unique wildlife found nowhere else in the world. And cats are killing them.

These crystal structures were left in the article by mistake =
┌──
Sb8Pb3S15: calculated powder diffractogram (Cu Ka), based on a cell relaxed with PBE.

Top 10 peaks for 15° ≤ 2θ ≤ 90°, in order of rising 2θ:
2θ/deg, d/Å, I/Imax
21.49, 4.135, 85
24.13, 3.689, 96
25.76, 3.459, 58
26.01, 3.425, 36
26.98, 3.304, 59
27.24, 3.274, 100
30.35, 2.945, 75
30.89, 2.895, 62
31.25, 2.862, 49
42.14, 2.144, 53

Structural model:
```
Sb8Pb3S15
1.0
6.795 -5.861 0.000
6.795 5.861 0.000
-1.842 0.000 18.061
Sb Pb S
16 6 30
Direct
0.039 0.140 0.427
0.119 0.604 0.934
0.140 0.039 0.927
0.222 0.589 0.158
0.236 0.504 0.500
0.396 0.881 0.566
0.411 0.778 0.342
0.496 0.764 0.000
0.504 0.236 0.000
0.589 0.222 0.658
0.604 0.119 0.434
0.764 0.496 0.500
0.778 0.411 0.842
0.860 0.961 0.073
0.881 0.396 0.066
0.961 0.860 0.573
0.119 0.260 0.663
0.260 0.119 0.163
0.376 0.624 0.750
0.624 0.376 0.250
0.740 0.881 0.837
0.881 0.740 0.337
0.049 0.571 0.597
0.056 0.403 0.836
0.067 0.804 0.842
0.111 0.829 0.463
0.171 0.889 0.037
0.183 0.817 0.250
0.196 0.933 0.658
0.233 0.294 0.037
0.294 0.233 0.537
0.308 0.401 0.249
0.396 0.550 0.911
0.401 0.308 0.749
0.403 0.056 0.336
0.429 0.951 0.903
0.450 0.604 0.589
0.550 0.396 0.411
0.571 0.049 0.097
0.597 0.944 0.664
0.599 0.692 0.251
0.604 0.450 0.089
0.692 0.599 0.751
0.706 0.767 0.463
0.767 0.706 0.963
0.804 0.067 0.342
0.817 0.183 0.750
0.829 0.111 0.963
0.889 0.171 0.537
0.933 0.196 0.158
0.944 0.597 0.164
0.951 0.429 0.403
```

~~~~~

Simulated powder XRD pattern of MgMn2O4 for a wavelength of 1.5418 Å, from DFT lattice parameters and positions (GGA+U).
Lines closer than 0.1° are merged.

Structural model:
```
MgMn2O4
1.0
-2.9114 2.9114 4.7118
2.9114 -2.9114 4.7118
2.9114 2.9114 -4.7118
Mg Mn O
2 4 8
direct
0.3750 0.6250 0.7500
0.6250 0.3750 0.2500
0.0000 0.0000 0.0000
0.0000 0.0000 0.5000
0.0000 0.5000 0.0000
0.5000 0.0000 0.5000
0.2223 0.2457 0.9766
0.2309 0.7543 0.4766
0.2457 0.2223 0.4766
0.2457 0.7691 0.0234
0.7543 0.2309 0.9766
0.7543 0.7777 0.5234
0.7691 0.2457 0.5234
0.7777 0.7543 0.0234
```

Peak list (6 most intense, 2θ = 5–70°, low angle first)
2θ (°), Rel. int.
17.9, 100
32.4, 66
35.8, 84
38.2, 40
44.0, 49
59.6, 63

~~~~~

Sr3Zn3Ga8: simulated X-ray powder pattern (Cu Kα (weighted mean of Kα1 and Kα2)), based on a crystal structure in Alexandria, relaxed with GGA-PBE.

Structure:
abc: 8.567 8.567 8.567
angles: 149.46 109.82 78.44
Element x y z (fractional)
Sr  0.000  0.000  0.000
Sr  0.302  0.302  0.000
Sr  0.698  0.698  0.000
Zn  0.311  0.500  0.811
Zn  0.500  0.000  0.500
Zn  0.689  0.500  0.189
Ga  0.020  0.656  0.363
Ga  0.138  0.857  0.281
Ga  0.293  0.656  0.637
Ga  0.425  0.143  0.281
Ga  0.575  0.857  0.719
Ga  0.707  0.344  0.363
Ga  0.862  0.143  0.719
Ga  0.980  0.344  0.637

Principal peaks in the range 10 to 80 degrees two-theta, sorted by position:
2θ (°)	I/Imax
32.53	16
33.72	100
34.77	17
36.45	28
39.96	36
40.79	21
42.37	16
43.66	17
58.42	15
65.48	16

~~~~~

1.
Calculated X-ray powder pattern of Al2ZnSe4 for copper Kα, from a DFT-relaxed cell (GGA-PBE, the Materials Project).
└──

Although many cat owners refuse to believe it, the truth is that cats allowed to roam loose outdoors are slaughtering native wildlife at a startling rate. A recent study by National Geographic recorded video evidence of the kills committed by normal suburban house cats. Among other interesting facts, the study found that cats only bring home about 1/4th of the animals they kill. Thus, most owners are unaware of the true number of animals being killed by their cats.
One New Zealand economist has put forth a radical proposal to save New Zealand's threatened wildlife: ban outdoor cats, and cat ownership altogether.
According to Gareth Morgan, New Zealand is the most cat-owning-est nations, with almost half of New Zealand households owning at least one cat. Morgan's proposal is that all New Zealand cats should be legally mandated to be indoor-only cats. And - more inflammatory still - that after the cats die, the families should not be allowed to replace them.
I personally am a strong advocate for cats being indoor-only. An outdoor cat has an average lifespan of about five years. An indoor cat has an average lifespan of about 15 years. But in my experience, many people simply will not see reason on this issue, dragging out long-winded explanations of cat psychology and philosophy, all of which is simply their own feelings projected upon their cat. 
The truth is that, statistically speaking, if you let your cat outside, it will die outside. And it won't be a peaceful death, either. But for most people, this is an "out of sight, out of mind" problem, just like the perilous state of New Zealand's native birds and animals.
Of course, even if hypothetically Morgan was able to convince New Zealanders to make all of their cats indoor-only, there is still the matter of feral cats. Feral cats have been responsible for the extinction of an estimated 70 local subspecies of birds and animals in New Zealand, as well as 6 species nation-wide. And that's not counting all of the species which have been vastly reduced in numbers.
New Zealanders have already taken steps to help reduce the predation of cats. Many "cat-free neighborhoods" have been declared as sanctuary areas for wildlife. But for species like the Stephens Island Wren, which cats hunted to extinction in about 20 short years, it is too little, too late.